Posted 18 января 2022,, 10:17

== The page is interrupted by quantum chemistry results ==
'''
Entry from OMol25: one molecule with the formula C4H7NO2S (ωB97M-V with the def2-TZVPD basis set).

The LUMO energy is -0.046 eV. The calculation puts the HOMO-LUMO gap at 9.5 eV.

Cartesian coordinates (Å):
S 0.874149 -1.722385 1.433606
O 1.577537 0.543751 0.004545
O -1.245464 -1.601961 -0.031928
N -0.484168 1.200911 -0.832328
C 0.423877 0.297851 -0.233300
C -0.160881 -1.107134 0.164125
C 0.264095 2.518783 -0.972570
C -1.925247 1.290159 -1.044110
H 0.227198 -3.003686 1.557453
H 0.567408 3.185969 -2.085050
H -2.327610 0.778037 -0.254273
H 1.216624 2.402131 -0.287145
H -0.296316 3.179622 -0.269540
H -2.151393 2.380574 -0.979320
H -2.100763 0.696878 -2.059332

Cartesian forces (eV/Å) of the 6 atoms listed first:
0.3 -2.2 0.4
0.4 -0.6 0.3
0.5 0.8 -1.2
4.4 1.7 -0.1
-3.2 -0.1 -1.5
-0.9 0.2 1.5

Entry from OMol25: one molecule with the formula C11H11NO2 (ωB97M-V with the def2-TZVPD basis set).

The LUMO energy is 0.378 eV. The calculation puts the HOMO-LUMO gap at 8.8 eV.

Cartesian coordinates (Å):
O 1.754910 3.038539 -0.798571
O 3.846485 -0.648793 0.720683
N 2.973231 1.189111 -0.451075
C 1.493888 -0.477363 0.485128
C -0.111834 1.451520 1.237574
C 0.552984 0.707323 0.097839
C -1.439214 1.690756 1.323832
C 1.838904 1.874671 -0.529327
C 0.957346 -1.802098 -0.344272
C -2.299519 1.346708 0.233873
C -0.498243 0.063418 -0.873291
C -0.504257 -1.403388 -0.456480
C 2.926622 -0.031442 0.239954
C -1.894360 0.607447 -0.817052
H -3.399785 1.458353 0.298714
H 0.036679 -0.141051 -1.854485
H 3.869390 1.646290 -0.433335
H 1.585629 -1.751315 -1.365375
H 0.550022 1.776284 2.082792
H -1.883912 2.462573 2.030419
H -0.897281 -1.548267 0.588960
H 1.261954 -2.669899 0.205837
H -1.095578 -2.190576 -0.944353
H 1.321431 -0.862959 1.585965
H -2.494781 0.617839 -1.737896

Cartesian forces (eV/Å) of the 6 atoms listed first:
-0.4 -0.3 -0.1
0.4 0.8 -0.9
2.0 -2.2 0.8
-1.4 -1.3 1.0
0.4 0.0 1.1
1.0 0.9 -0.4

E_tot? In order: -20679.31516, -17168.57008 eV.
M? In order: 133.2, 189.2 g mol⁻¹.
Maximum force? In order: 0.0923, 0.0898 hartree/bohr.
'''
== So much for the quantum chemistry results ==

Published 18 января 2022,, 10:17

Modified 24 декабря 2022,, 22:37

Updated 24 декабря 2022,, 22:37

Submarines have been replaced by drones. The "Russian threat" made Swedes panic again

Submarines have been replaced by drones. The "Russian threat" made Swedes panic again

**Someone pasted data records at this point**
........
Here is a structure of composition C39H64IN3OPS3V in a non-equilibrium geometry from the Open Molecules 2025 dataset. Energies are from wB97M-V/def2-TZVPD.

Values from the calculation:
Max |F| = 2.148 eV/Å
Spin multiplicity = 4
Gap between HOMO and LUMO (alpha / beta) = 7.6 / 8.2 eV
Charge = +1
Energy = -4541.492382 a.u.

Cartesian coordinates (Å):
V (1.62438, -0.94064, 0.05284)
I (2.79221, 0.91849, 1.73454)
C (2.04778, -0.31470, 3.32882)
C (2.41084, 0.01347, 4.60573)
C (1.85345, -0.69433, 5.67844)
C (0.90960, -1.65447, 5.44353)
C (0.51314, -1.98412, 4.13144)
C (-0.52906, -2.90374, 3.89536)
C (-0.98423, -3.11332, 2.62202)
C (-0.34905, -2.50084, 1.53353)
C (0.74624, -1.66914, 1.68110)
C (1.12747, -1.33454, 3.01406)
H (3.11186, 0.81248, 4.78782)
H (2.16207, -0.45246, 6.68332)
H (0.43269, -2.16456, 6.26656)
H (-0.99151, -3.40133, 4.73476)
H (-1.83283, -3.75987, 2.45173)
H (-0.75287, -2.68132, 0.54099)
C (0.83248, -5.26561, 0.11130)
C (0.73442, -4.64316, -1.27236)
S (1.04939, -2.83440, -1.50119)
C (2.69951, -2.90051, -2.27126)
C (3.77324, -3.28425, -1.28018)
S (3.72449, -2.14162, 0.15670)
C (3.97096, -3.31038, 1.54302)
C (2.79175, -4.19614, 1.89426)
S (2.51739, -5.60248, 0.74394)
H (0.36016, -6.24940, 0.06309)
H (0.31906, -4.66942, 0.86227)
H (-0.28943, -4.77781, -1.62594)
H (1.40882, -5.13993, -1.96802)
H (2.86693, -1.88359, -2.63633)
H (2.65155, -3.60189, -3.10616)
H (4.75717, -3.20422, -1.74559)
H (3.63542, -4.29640, -0.89857)
H (4.20206, -2.66530, 2.39597)
H (4.84877, -3.90853, 1.29815)
H (1.87162, -3.61519, 1.92511)
H (2.96795, -4.63682, 2.87687)
O (-0.29847, 0.49372, 0.23258)
P (-1.62146, 1.18959, 0.26299)
C (-1.32038, 3.01524, 0.55347)
C (0.06103, 3.48715, 0.09802)
C (0.10430, 3.82923, -1.38643)
C (-0.94618, 4.87741, -1.73769)
C (-2.33793, 4.38873, -1.35076)
C (-2.39463, 4.01712, 0.12983)
C (-2.47575, 0.77921, -1.36241)
C (-3.95538, 1.09812, -1.59219)
C (-4.92196, 0.01202, -1.12582)
C (-4.56155, -1.34141, -1.72045)
C (-3.14688, -1.71378, -1.30343)
C (-2.15151, -0.66143, -1.78127)
C (-2.67013, 0.55475, 1.67395)
C (-3.92902, 1.35060, 2.02849)
C (-3.73620, 2.41618, 3.10904)
C (-3.02454, 1.85840, 4.33633)
C (-1.66470, 1.30680, 3.92718)
C (-1.83844, 0.19325, 2.90325)
H (-1.28761, 2.99615, 1.65043)
H (0.80516, 2.71856, 0.32097)
H (0.32362, 4.37786, 0.67694)
H (-0.07474, 2.91384, -1.95348)
H (1.09704, 4.20582, -1.64878)
H (-0.90873, 5.10464, -2.80666)
H (-0.72510, 5.79827, -1.19326)
H (-2.61074, 3.53237, -1.96830)
H (-3.06836, 5.17733, -1.54420)
H (-3.38953, 3.64514, 0.37700)
H (-2.23285, 4.92734, 0.71662)
H (-1.89003, 1.43572, -2.02260)
H (-4.08796, 1.22262, -2.67201)
H (-4.22155, 2.04604, -1.12493)
H (-5.92734, 0.29879, -1.43595)
H (-4.91556, -0.06698, -0.04030)
H (-4.62295, -1.29426, -2.80912)
H (-5.26666, -2.09858, -1.37725)
H (-2.86051, -2.67358, -1.74021)
H (-3.09975, -1.82139, -0.21823)
H (-2.13153, -0.70046, -2.87447)
H (-1.15841, -0.92883, -1.40844)
H (-2.99609, -0.40275, 1.24762)
H (-4.67947, 0.64471, 2.39818)
........

18 января 2022, 10:17
In the last century, Sweden aggressively searched its territorial waters for Soviet submarines, now they claim that Russian reconnaissance drones are flying over the country

Alexander Sychev

Unidentified drones have been spotted over the Swedish nuclear power plants in Forsmark, Oskarshamn and Ringhals. The Swedish State Security Service (SÄPO) has launched an investigation, but no suspects have been identified so far. But Major General Lena Hallin, Sweden's head of military intelligence, nevertheless pinched the nerves of the Swedes, saying that the situation was "far from normal for the country's security."

The Swedish television channel TV2 reported that the drone seen in Forsmark was “a fairly large craft that resisted the wind. And at that time in this area he was strong.” The drone was first seen by a security guard as the drone hovered over the facility and then headed east towards Grösø Island. Authorities scrambled helicopters to locate the drone, but to no avail.

Swedish broadcaster SVT aired a 27-second video taken by a motorist showing a dot glowing in the night sky above the Ringhals nuclear power plant. It's hard to say what it is. The Swedish authorities also hesitated to call it a drone.

In general, these events, if they really took place, could be passed by. But the subsequent comments reminded of the events of the 80s of the last century, and this is already more serious. Then, every autumn, the Swedish military, SÄPO and the media embraced a kind of aggravation of an almost manic nature. The Swedish Navy drove ships through the skerries and jammed Soviet submarines with depth charges. The media portrayed the horrors of Moscow's claim to Swedish sovereignty.

Why it was in the fall that the Swedish Navy began to hear some sounds in the depths of Swedish territorial waters and panic, remained unexplained. It is amazing that the Swedes, who sincerely care about the preservation of nature, did not say a word about the damage caused by deep mines to the wildlife of the Baltic.

== Molecular data, as found in the file ==
~~~
The following is a DFT calculation (ωB97M-V/def2-TZVPD) of a structure of composition C22H13N5O7Pd.

```
! wB97M-V def2-TZVPD RIJCOSX def2/J DEFGRID3
* xyz 2 1
H -3.2498 -3.3815 0.2619
C -4.6076 -0.2847 0.1862
C -2.1778 -1.5331 0.1763
C -3.3287 -2.3047 0.2270
H 4.1642 -5.8148 -0.2537
H -5.4726 -2.2471 0.2674
H 2.0498 6.3038 -0.1851
H -1.1889 -1.9598 0.1692
C -4.0828 4.1561 0.0657
H 3.4795 4.2547 -0.1867
O 2.7185 0.0525 0.3074
H -2.5404 5.6443 -0.0175
H -4.8854 4.8808 0.0740
C -1.7561 3.6425 0.0049
C 2.4019 4.1887 -0.1489
C -4.3794 2.8008 0.1068
O 6.2487 -4.8750 0.1380
C -4.5571 -1.6727 0.2301
C 1.6114 5.3159 -0.1474
O 1.0124 -6.4878 0.3406
N -2.2272 -0.2057 0.1300
C -3.4268 0.4246 0.1378
N 0.4795 2.7822 -0.0488
H 2.3862 2.0319 -0.0900
O 6.3452 -2.7396 0.5193
O 1.2444 -6.1187 -1.7954
C 2.3790 -2.2205 0.0286
C 3.7179 -2.3935 0.1794
Pd -0.6278 1.0523 0.0306
C -3.3339 1.8965 0.0956
O 0.5838 -0.6342 0.0144
C -0.3058 3.8971 -0.0485
C 1.5483 -3.4446 -0.2294
H 4.3567 -1.5424 0.3743
N 5.7819 -3.7714 0.2627
C 0.2309 5.1641 -0.0961
C 2.2856 -4.7620 -0.3428
H -5.5568 0.2311 0.1908
C 1.8407 -0.7664 0.1291
H -0.4136 6.0306 -0.0939
H -5.4041 2.4628 0.1471
C -2.7673 4.5894 0.0144
N -2.0697 2.3427 0.0460
C 3.6189 -4.8821 -0.1875
C 1.8021 2.9363 -0.0989
O 0.3555 -3.4568 -0.3354
C 4.2860 -3.6759 0.0765
N 1.4305 -5.9072 -0.6258
*
```

Summary:
HOMO energy = -0.5458 Eh
ΔE to the lowest compared entry with this formula, charge and spin = 4.0 kJ/mol
Gap between HOMO and LUMO = 4.4027 eV

The computed natural (NBO) charges, all in e, follow:
1. H 0.25
2. C -0.21
3. C 0.08
4. C -0.22
5. H 0.32
6. H 0.25
7. H 0.25
8. H 0.25
9. C -0.10
10. H 0.25
11. O -0.61
12. H 0.25
13. H 0.26
14. C 0.18
15. C -0.22
16. C -0.19
17. O -0.28
18. C -0.11
19. C -0.11
20. O -0.26
21. N -0.46
22. C 0.24
23. N -0.47
24. H 0.26
25. O -0.28
26. O -0.26
27. C 0.03
28. C -0.26
29. Pd 0.95
30. C 0.16
31. O -0.74
32. C 0.23
33. C 0.51
34. H 0.32
35. N 0.49
36. C -0.21
37. C 0.21
38. H 0.24
39. C 0.76
40. H 0.24
41. H 0.25
42. C -0.19
43. N -0.39
44. C -0.28
45. C 0.08
46. O -0.33
47. C 0.36
48. N 0.50

=====

The following is a DFT calculation (ωB97M-V/def2-TZVPD) of a cluster of 5 separate species, C4H17NO3 in total.

```
! wB97M-V def2-TZVPD RIJCOSX def2/J DEFGRID3
* xyz 0 1
H -0.7360 -2.4693 1.5041
C -1.2934 -1.3161 -0.1811
H -0.9869 -2.0524 -0.9109
C 1.0575 2.0360 -0.0291
H -1.0030 -0.7229 1.8495
H 1.1474 -0.8423 -0.9237
H -2.8390 2.5440 -0.5348
N 0.8610 -1.2514 0.9156
H -1.6992 1.6709 -1.5355
H -0.0438 1.9789 -0.2415
H 1.3240 -2.5189 2.5995
H 1.6034 1.2791 -0.5834
C 1.5148 -1.5401 2.1408
O 1.5211 -0.7674 -1.8071
H -2.3555 -1.4228 0.1065
C -0.5296 -1.4599 1.0852
H 1.3987 3.0357 -0.3440
H -1.1632 -0.3152 -0.6078
O -2.3157 1.7178 -0.5979
H 1.1190 -0.0050 -2.1789
H 2.5882 -1.3870 2.0673
H 1.1773 -0.8123 2.9373
H 1.2508 1.8881 1.0076
O -0.8099 1.1444 -2.4508
H -0.7881 1.5881 -3.2868
*
```

Summary:
HOMO energy = -0.3019 Eh
~~~

It was also surprising how dodgy the "red submarines" were. It cannot be said that they were completely elusive. In 1981, near the Swedish naval base in Karlskrona, in a dense fog, which often happens in the Baltic, an old Soviet submarine S-363 got lost and ran aground. She didn't sneak underwater. She made a trip on the surface. This is done when the ship is already preparing to enter the "home" territorial waters.

The noise was incredible. The Soviet ambassador was called "on the carpet" to the Foreign Ministry, and even to Olof Palma, the prime minister, in his office. By the way, Palme spoke on this topic very calmly, with a slight smile, apparently not really believing in the hype that rose every autumn in the press and the naval fuss in the skerries.

The captain of the submarine apologized - he lost his way, as they say, beguiled the coast. I realized this only when the fog cleared. The submarine stuck aground, like a boil on the eye, becoming irrefutable evidence of Soviet espionage. But since then, the Swedes have not seen a single “red submarine”. Some sounds were regularly heard in the skerries, even jammed with depth charges, but not a single one was sunk or caught.

The hunt for submarines continued until the very collapse of the USSR and even for some time after, until Stockholm noticed the absurdity of the situation - an impoverished Russia cannot spend its meager budget on senseless adventures off the Swedish coast. Then the strange anti-submarine battles ended.

Much later, the Swedish journalist and historian Ola Tunander, relying on documents obtained by him, wrote in his books “Secret War against Sweden” and “Undercover Game” that, if there were submarines in Swedish waters, then not Soviet, but NATO, but Swedish the sailors did not even try to destroy them. The goal of the long joint Swedish-NATO operation was Swedish society. The Swedes, whose minds were greatly influenced by the overly peaceful and democratic Prime Minister Palme, needed to be convinced that without the North Atlantic Alliance, the country could not survive with such a neighbor as the USSR at hand.

Effort, in my opinion, unnecessary. Of course, Sweden officially adhered to an independent policy, which was sometimes even called neutrality, but it was never neutral, and since 1949 it was even considered an unofficial member of NATO. Olof Palme was a magician. He openly criticized us and at the same time allowed military intelligence to cooperate and the Swedish and American navies to interact. I never heard him close the "back door" through which the extensive work was carried out, turning Sweden into a secret member of NATO. The only one who was in the dark was the Swedes themselves.” These words belong to Rodney O'Gliasane Kennedy-Minott, the American ambassador who served in Sweden from 1977 to 1980.

And here is a new fake panic. The Swedish media have linked reports of flying drones heading east to a statement by Lieutenant General Michael Claesson, head of joint operations for the Swedish Armed Forces. He said the other day that the country would strengthen its armed forces based on the island of Gotland in response to the growing presence of Russian amphibious assault ships in the Baltic Sea, and the Russians took offense.

By the way, they began to strengthen Gotland a long time ago. In 2019, for example, Sweden installed an updated missile defense system on the island. This island, the Swedish military suddenly realized, turns out to be a strategically important place - only some 320 km to Kaliningrad, where the base of the Russian Baltic Fleet is located. But Gotland gained significant weight, first of all, in NATO operational calculations. And Sweden is only the owner of this springboard and, at the behest of Brussels, which is whipping up military hysteria, may find itself in a very unpleasant position.

However, shouting is also beneficial for the Swedish military-industrial complex. By 2025, Sweden intends to increase its defense spending to 89 billion crowns ($10.6 billion). This is the largest increase in military spending in the last 70 years. Expenses need to be justified somehow, and for this it is better not to come up with an aggressive eastern neighbor. At the beginning of the 19th century, who destroyed the indestructible army of Charles XII near Poltava? And in 1809, the hussars and Cossacks of the detachment of Major General Yakov Petrovich Kulnev took the Swedish squadron frozen into the ice in the Gulf of Bothnia with a cavalry attack, and then entered Stockholm. Even after that, the Russian Swedes did not infringe on their interests in any way, even when they supplied industrial products to fascist Germany.

Submarines are already boring, but drones are quite in step with modern technologies. The idea, by the way, was suggested by the United States, which for several years has been reporting some unidentified drones flying over their strategically important facilities. The US Nuclear Regulatory Commission documents, for example, list 60 drones flying over 24 nuclear sites between 2015 and 2019. It is strange that none of their owners has ever been identified.

And not smart. According to the US Federal Aviation Administration, there are more than 1.7 million drones registered in the country, and more and more every year. And private owners are curious to see what happens at closed facilities. In Sweden, I think, there are also quite a few curious drone owners. And third forces have nothing to do with it. Just, if it's so scary, don't let it fly where it's not supposed to. To do this, there are various radio equipment, and the watchman will sleep peacefully.